Simple Umrah Guide
When you reach the Meeqaat (or just before it on a !ight) assume Ihraam and recite:
لَـبَّـي$كَ ٱللّـه&ـمَّ بِع&م$ر”ة
Labbaik Allahumma bi-`umrah. “Here I am, O Allaah, making `Umrah.”
If you are in fear of not completing the Umrah, then recite:
اللَّه&مَّ م”ح7لّ7ي= ح”ي$ث& ح”ب”س$تَن7ي
Allahumma mahillee haithu habastanee. “O Allaah my place is wherever you prevent me.”
Stand and face the Qiblah and recite:
اللَّه&مَّ ه”ذِه7 ع&م$ر”ةٌ لاD رِي”اء” ف7ي$ه”ا وFلاD س&م$ع”ة
Allahumma haadhihi `umrah , laa riyaa’a feehaa wa laa sum’ah.
“O Allaah this is a ‘Umrah, there being no showing-off in it nor seeking repute.”
Then loudly & frequently recite the talbiyyah until you reach the Haram:
لَبَّي$كَ اللَّه&مَّ لَبَّي$ك، لَبَّي$كَ لاD شَرِي$كَ لَكَ لَبَّي$ك، إنَّ الْح”م$دَ وF النّ7ع$م”ةَ لَكَ
وFالْم&لْكُ لاD شَرِي$كَ لَك
Labbaik Allahumma Labbaik, Labbaik laa shareeka laka Labbaik, Innal hamda wanni‘mata
laka walmulk, Laa shareeka lak. “Here I am O Allaah. Here I am, you have no partner. Here I
am, verily all praise for You, and every bounty is from You – and all dominion is Yours, you
have no partner.”
Also from the talbiyyah, is to recite:
لَبَّي$كَ إلَه” الْح”قY
Labbaika ilaahal haqq. “Here I am O God of Truth.”
Enter al-Masjid al-Haraam (the Sacred Mosque) with the right foot #rst & recite:
لَبَّي$كَ اللَّه&مَّ لَبَّي$ك، لَبَّياللَّه&مَّ ص”لbY ع”لَى م&ح”مَّدٍ وF س”لّ7م، اللَّه&مَّ افْتَح$ ل7ي أب$وFاب”
Allahummasalli `ala muhammad wasallim Allahumma aftahlee abwaaba rahmatika. “O
Allaah, send prayers and peace upon Muhammad. O Allaah, open the doors of your Mercy
for me.”
Start at al-Hajr al-Aswad (the Black Stone). Men only must uncover the right shoulder
by placing the Ihraam under the right armpit. When beginning each circuit of tawaaf,
make a sign with your right hand towards the Black Stone and say:
اللَّه أكeب”ر
Allaahu Akbar. “Allaah is the Greatest.”
Make seven circuits of Ka’bah. Men only should swifty walk around the Ka’bah for the
#rst three circuits, then begin the fourth circuit at normal walking pace. During each
circuit, whilst between the Yemeni Corner and the Black Stone, recite:
ر”بَّنَا آت7نَا ف7ي الدُّنْي”ا ح”س”نَةً وF ف7ي الآخ7ر”ة7 ح”س”نَةً وF ق7نَا ع”ذَاب” النَّار
Rabbanaa aatinaa !d-dunya hasana wa!l aakhirati hasana wa qinaa `adhaaban naar.
“Our Lord! Give us that which is good in this world and in the Hereafter, and save us from
the torment of the Fire.”
. Cover right shoulder, then go behind the Place of Ibraaheem and recite:
وFاتَّخ7ذُو=ا م7ن$ مَّقَامr إب$ر”اه7ي$م” م&ص”لpى
Wattakhidhoo min-maqaami ibraaheema musalla. “And take the station of Ibraaheem as a
place of prayer.”
. Here pray two rak’aahs. In #rst rak’aah recite Soorah al-Kaa#roon and in the second
rak’aah, Soorah al-Ikhlaas behind the Place of Ibraaheem if possible, otherwise anywhere
within al-Masjidul-Haraam.
Then go to the Zam-Zam taps and drink from it, and pour some water over your
Return to al-Hajarul-Aswad (the Black Stone) and touch it as before, if you are able,
saying “Allaahu Akbar”, otherwise set off to make Sa`ee between Safaa and Marwa.
You may now exit the Masjid al-Haraam with the left foot, reciting:
اللَّه&مَّ ص”لbY ع”لَى م&ح”مَّدٍ وF س”لّ7م، اللَّه&مَّ إنّ7ي أس$ألُكَ م7ن$ فَض$ل7ك
Allaahumma salli `alaa muhammadin wa sallim Allaahumma innee ‘as’aluka min fadhlika.
**Calculated crystals, kept here for reference**
[1]
Here is a relaxed structure of Li4Pd2Au3 from Alexandria via LeMat-Bulk. Energies are from GGA-PBE.

Computed properties:
Fermi-level density of states: 0.247 states/eV per atom
Magnetic moment: 0.00 μB per cell
Energy: -64.060 eV per cell
Crystal system: monoclinic

Geometry as CIF:
```
data_Li4Pd2Au3
_chemical_formula_sum 'Li8 Pd4 Au6'
_symmetry_space_group_name_H-M 'C 1 2/m 1'
_symmetry_Int_Tables_number 12
_cell_length_a 11.9161
_cell_length_b 3.9839
_cell_length_c 6.1708
_cell_angle_alpha 90.00
_cell_angle_beta 107.72
_cell_angle_gamma 90.00
loop_
_symmetry_equiv_pos_as_xyz
'x,y,z'
'-x,-y,-z'
'-x,y,-z'
'x,-y,z'
'x+1/2,y+1/2,z'
'-x+1/2,-y+1/2,-z'
'-x+1/2,y+1/2,-z'
'x+1/2,-y+1/2,z'
loop_
_atom_site_label
_atom_site_type_symbol
_atom_site_fract_x
_atom_site_fract_y
_atom_site_fract_z
Li1 Li 0.0460 0.0000 0.3170
Li2 Li 0.2215 0.5000 0.3117
Pd1 Pd 0.1672 0.0000 0.0048
Au1 Au 0.0000 0.5000 0.0000
Au2 Au 0.1164 0.5000 0.6496
```

[2]
Here is a relaxed structure of AgRu3Cl from Alexandria via LeMat-Bulk. Energies are from GGA-PBE.

Computed properties:
Fermi-level density of states: 1.100 states/eV per atom
Magnetic moment: 8.17 μB per cell
Energy relative to the elements, uncorrected: 52.675 kcal/mol of atoms
Energy: -21.104 eV per cell
Crystal system: cubic

Geometry as CIF:
```
data_AgRu3Cl
_chemical_formula_sum 'Ag1 Ru3 Cl1'
_symmetry_space_group_name_H-M 'P m -3 m'
_symmetry_Int_Tables_number 221
_symmetry_space_group_name_Hall '-P 4 2 3'
_cell_length_a 4.9799
_cell_length_b 4.9799
_cell_length_c 4.9799
_cell_angle_alpha 90.00
_cell_angle_beta 90.00
_cell_angle_gamma 90.00
loop_
_atom_site_label
_atom_site_type_symbol
_atom_site_fract_x
_atom_site_fract_y
_atom_site_fract_z
Ag1 Ag 0.0000 0.0000 0.0000
Ru1 Ru 0.0000 0.0000 0.5000
Cl1 Cl 0.5000 0.5000 0.5000
```

[3]
Here is a relaxed structure of RbIr2OsCl from Alexandria via LeMat-Bulk. Energies are from GGA-PBE.

Computed properties:
Fermi-level density of states: 2.804 states/eV per atom
Magnetic moment: 0.17 μB per cell
Energy relative to the elements, uncorrected: 80.009 kcal/mol of atoms
Energy: -14.418 eV per cell
Crystal system: tetragonal

Geometry as CIF:
```
data_RbIr2OsCl
_chemical_formula_sum 'Rb1 Ir2 Os1 Cl1'
_symmetry_space_group_name_H-M 'P 4/m m m'
_symmetry_Int_Tables_number 123
_symmetry_space_group_name_Hall '-P 4 2'
_cell_length_a 4.8217
_cell_length_b 4.8217
_cell_length_c 5.1650
_cell_angle_alpha 90.00
_cell_angle_beta 90.00
_cell_angle_gamma 90.00
loop_
_atom_site_label
_atom_site_type_symbol
_atom_site_fract_x
_atom_site_fract_y
_atom_site_fract_z
Rb1 Rb 0.0000 0.0000 0.0000
Ir1 Ir 0.0000 0.5000 0.0000
Os1 Os 0.5000 0.5000 0.5000
Cl1 Cl 0.0000 0.0000 0.5000
```

~~~~~

Below is a geometry-optimized PaMnCoS6 structure, with properties calculated at the GGA-PBE level.

Output
The final energy comes out at -56.8 eV for the cell shown. The calculation puts the raw formation energy at -0.697 eV per atom.

a b c (Å): 5.9207 5.9207 5.8125
angles (deg): 90.00 90.00 120.00
“O Allaah, send prayers and peace upon Muhammad, O Allaah, verily I ask You from Your
Finally, men should shave their head as this is best, or cut hair equally from all over
head. Women should cut #ngertip’s length of their hair. Your `Umrah is now complete, may
********
[1]
Entry from Alexandria via LeMat-Bulk: a relaxed structure of TcAuSCl2 (PBE).

Cell: 4.9316 4.9316 4.4689 Å, 90.00 90.00 90.00°
Fractional coordinates of all 5 atoms:
Tc  0.0000  0.0000  0.0000
S  0.0000  0.0000  0.5000
Cl  0.5000  0.0000  0.0000
Cl  0.0000  0.5000  0.0000
Au  0.5000  0.5000  0.5000

Results
The magnetization comes out at 0.177 μB per atom. The distance to the lowest polymorph of the same formula is 0.00 eV per formula unit.

[2]
Entry from Alexandria via LeMat-Bulk: a relaxed structure of Tm5Sc5Pb6 (PBE).

Cell: 6.2909 8.7496 8.7497 Å, 119.71 90.00 90.00°
Fractional coordinates of all 16 atoms:
Sc  0.0000  0.2375  0.2375
Sc  0.2496  0.6677  0.3332
Sc  0.7504  0.6677  0.3332
Sc  0.2496  0.3332  0.6677
Sc  0.7504  0.3332  0.6677
Tm  0.5000  0.2345  0.0004
Tm  0.0000  0.7648  0.0000
Tm  0.0000  0.0000  0.7648
Tm  0.5000  0.7618  0.7618
Tm  0.5000  0.0004  0.2345
Pb  0.0000  0.5976  0.5976
Pb  0.0000  0.3971  0.0047
Pb  0.5000  0.6004  0.0004
Pb  0.5000  0.0004  0.6004
Pb  0.5000  0.3989  0.3989
Pb  0.0000  0.0047  0.3971

Results
The magnetization comes out at 0.000 μB per atom. The calculation puts the formation energy at -0.50 eV per atom.

[3]
Entry from Alexandria via LeMat-Bulk: a relaxed structure of Ce5HoIr6 (PBE).

Cell: 6.9666 6.9686 6.9768 Å, 60.04 80.41 70.51°
Fractional coordinates of all 12 atoms:
Ce  0.0000  0.6658  0.6685
Ce  0.5000  0.5000  0.0000
Ce  0.0000  0.3342  0.3315
Ce  0.5000  0.1680  0.6639
Ce  0.5000  0.8320  0.3361
Ir  0.7500  0.4191  0.6636
Ir  0.7465  0.7487  0.0000
Ir  0.2535  0.2513  0.0000
Ir  0.2500  0.5809  0.3364
Ir  0.2500  0.9172  0.6636
Ir  0.7500  0.0828  0.3364
Ho  0.0000  0.0000  0.0000

Results
The magnetization comes out at 0.000 μB per atom. The calculation puts the formation energy at -0.69 eV per atom.

[4]
Entry from Alexandria via LeMat-Bulk: a relaxed structure of Tb2Dy5ThMg (PBE).

Cell: 5.4737 10.3550 10.3870 Å, 90.00 90.00 105.33°
Fractional coordinates of all 18 atoms:
Dy  0.2867  0.5733  0.7069
Dy  0.9864  0.9728  0.5085
Dy  0.6204  0.2408  0.5085
Dy  0.7133  0.4267  0.2069
Dy  0.0136  0.0272  0.0085
Dy  0.3796  0.7592  0.0085
Dy  0.7142  0.4283  0.8100
Dy  0.5004  0.0009  0.2577
Dy  0.4996  0.9991  0.7577
Dy  0.2858  0.5717  0.3100
Th  0.8009  0.6018  0.5085
Th  0.1991  0.3982  0.0085
********
Allaah accept it.